• Brief:
Restate the lines further down from the one with "5.046 -2.070" to the one with "4.695 -1.418" unchanged, please.

• Contents:
- - -
Computed, not measured: a structure of composition C44H114F6N10O17S2, with ωB97M-V/def2-TZVPD.

```
193
Properties=species:S:1:pos:R:3:lowdin_charge:R:1
O 0.503 0.349 0.496 0.181
H 0.883 -0.164 -0.222 0.032
H -0.448 0.348 0.363 0.051
H 0.935 1.205 0.556 0.014
C 2.185 2.598 -2.171 -0.625
F 1.000 2.014 -2.120 0.128
F 3.159 1.687 -2.367 0.104
F 2.180 3.395 -3.257 0.130
S 2.459 3.624 -0.535 0.734
O 3.877 4.040 -0.541 -0.310
O 1.486 4.714 -0.655 -0.302
N 2.038 2.375 0.636 -0.315
S 2.325 3.049 2.060 0.618
O 2.577 4.470 2.211 -0.271
O 1.307 2.525 3.016 -0.330
C 3.945 2.107 2.521 -0.656
F 4.177 2.271 3.819 0.135
F 3.904 0.821 2.226 0.132
F 5.005 2.619 1.874 0.118
C 1.870 -3.379 -2.437 -0.022
C 1.681 -2.607 -1.091 -0.399
C 2.870 -2.718 -0.188 -0.227
O 4.007 -2.156 -0.721 -0.172
C 5.046 -2.070 0.215 -0.073
N 1.397 -1.237 -1.380 0.068
H 2.066 -4.443 -2.308 0.077
H 2.742 -2.978 -2.954 0.081
H 1.034 -3.233 -3.121 0.057
H 0.739 -2.856 -0.601 0.111
H 2.981 -3.784 0.011 0.134
H 2.624 -2.203 0.740 0.132
H 4.790 -1.628 1.178 0.068
H 5.925 -1.636 -0.261 0.095
H 5.268 -3.125 0.370 0.093
H 0.964 -1.318 -2.289 0.050
H 2.344 -0.993 -1.633 0.089
C 5.270 -1.376 4.304 -0.055
C 4.257 -1.147 5.486 -0.393
C 2.967 -2.121 5.538 -0.173
O 2.219 -2.309 4.367 -0.233
C 1.239 -1.260 4.131 -0.073
N 5.083 -1.540 6.575 0.005
H 4.695 -1.418 3.379 0.035
H 5.829 -2.311 4.324 0.082
H 6.002 -0.569 4.268 0.077
H 3.898 -0.122 5.578 0.125
H 2.318 -1.746 6.329 0.118
H 3.216 -3.143 5.822 0.126
H 1.771 -0.322 3.968 0.089
H 0.560 -1.170 4.979 0.085
H 0.604 -1.461 3.268 0.076
H 4.666 -1.052 7.356 0.077
H 5.967 -1.085 6.401 0.069
C -2.697 -6.484 0.235 -0.079
C -1.231 -6.480 -0.060 -0.422
C -0.668 -5.061 -0.384 -0.174
O -1.099 -4.424 -1.584 -0.207
C -0.897 -5.177 -2.739 -0.118
N -0.644 -7.021 1.191 0.038
H -3.258 -6.050 -0.593 0.075
H -3.001 -5.914 1.112 0.079
H -3.158 -7.469 0.314 0.079
H -1.038 -7.161 -0.889 0.125
H 0.415 -5.176 -0.417 0.111
H -0.895 -4.336 0.398 0.104
H -1.560 -6.041 -2.703 0.090
H 0.135 -5.480 -2.919 0.081
H -1.085 -4.481 -3.557 0.081
H -0.712 -8.027 1.139 0.073
H 0.352 -6.860 1.144 0.061
C -3.655 5.573 6.027 -0.100
C -3.734 6.263 4.745 -0.442
C -3.446 5.461 3.444 -0.169
O -2.082 4.990 3.361 -0.175
C -1.874 4.114 2.268 -0.084
N -5.039 6.971 4.786 0.027
H -2.767 4.941 5.993 0.083
H -4.535 4.938 6.125 0.081
H -3.655 6.278 6.859 0.085
H -2.898 6.962 4.774 0.139
H -3.634 6.126 2.601 0.119
H -4.154 4.637 3.357 0.111
H -0.914 3.654 2.503 0.076
H -1.799 4.720 1.365 0.089
H -2.619 3.324 2.176 0.071
H -5.103 7.472 5.660 0.059
H -5.817 6.330 4.848 0.061
C -1.966 -1.742 -0.085 -0.058
C -2.678 -0.426 0.045 -0.369
C -2.798 0.087 1.502 -0.169
O -1.548 0.349 2.084 -0.206
C -1.615 0.681 3.438 -0.085
N -1.879 0.530 -0.767 0.091
H -2.598 -2.566 0.247 0.089
H -1.083 -1.721 0.554 0.071
H -1.663 -1.973 -1.106 0.061
H -3.688 -0.619 -0.317 0.142
H -3.307 -0.628 2.148 0.124
H -3.399 0.993 1.423 0.099
H -0.729 1.236 3.747 0.082
H -1.472 -0.304 3.883 0.063
H -2.501 1.225 3.763 0.102
H -2.538 1.294 -0.801 0.057
H -1.974 0.171 -1.707 0.046
C -1.479 -3.593 3.224 -0.076
C -1.316 -3.274 4.669 -0.451
C -2.486 -3.910 5.507 -0.138
O -3.855 -3.441 5.273 -0.200
C -4.091 -2.068 5.541 -0.111
N -0.020 -3.731 5.126 0.068
H -2.434 -3.213 2.859 0.078
H -1.500 -4.680 3.146 0.078
H -0.653 -3.148 2.670 0.066
H -1.310 -2.184 4.681 0.093
H -2.270 -3.748 6.563 0.111
H -2.500 -4.991 5.367 0.122
H -3.506 -1.708 6.387 0.087
H -5.153 -1.891 5.712 0.088
H -3.728 -1.486 4.693 0.059
H 0.130 -4.683 4.824 0.081
H 0.769 -3.225 4.751 0.012
C 7.443 1.839 -0.549 -0.078
O 7.472 1.286 -1.911 -0.188
C 6.173 1.435 -2.533 -0.220
C 6.142 0.497 -3.760 -0.182
N 6.877 0.965 -4.954 -0.054
C 6.338 2.145 -5.634 -0.216
C 7.264 2.613 -6.748 -0.174
O 7.361 1.574 -7.795 -0.223
C 7.913 1.897 -9.049 -0.120
H 8.438 2.198 -0.288 0.078
H 7.278 1.058 0.193 0.074
H 6.764 2.678 -0.400 0.077
H 5.977 2.478 -2.782 0.112
H 5.339 1.127 -1.902 0.094
H 5.111 0.319 -4.066 0.097
H 6.548 -0.466 -3.449 0.114
H 7.828 1.175 -4.685 0.105
- - -

• Outcome:
C 5.046 -2.070 0.215 -0.073
N 1.397 -1.237 -1.380 0.068
H 2.066 -4.443 -2.308 0.077
H 2.742 -2.978 -2.954 0.081
H 1.034 -3.233 -3.121 0.057
H 0.739 -2.856 -0.601 0.111
H 2.981 -3.784 0.011 0.134
H 2.624 -2.203 0.740 0.132
H 4.790 -1.628 1.178 0.068
H 5.925 -1.636 -0.261 0.095
H 5.268 -3.125 0.370 0.093
H 0.964 -1.318 -2.289 0.050
H 2.344 -0.993 -1.633 0.089
C 5.270 -1.376 4.304 -0.055
C 4.257 -1.147 5.486 -0.393
C 2.967 -2.121 5.538 -0.173
O 2.219 -2.309 4.367 -0.233
C 1.239 -1.260 4.131 -0.073
N 5.083 -1.540 6.575 0.005
H 4.695 -1.418 3.379 0.035